It remains to give back all of the block underneath word for word.
<<<
VASP calculation (PBE) on a relaxed structure of B7C5.

Lattice parameters (Å, degrees): 6.017 6.029 3.830 88.73 91.36 142.17
Element x y z (fractional)
B1 0.123 0.735 0.949
C1 0.142 0.301 0.211
C2 0.991 0.997 0.969
B2 0.470 0.459 0.470
C3 0.481 0.976 0.233
B3 0.358 0.656 0.995
B4 0.855 0.688 0.226
B5 0.782 0.058 0.417
C4 0.310 0.144 0.765
B6 0.621 0.304 0.035
C5 0.666 0.819 0.734
B7 0.201 0.863 0.497

Computed properties:
* energy above the most stable polymorph in this dataset: 234.0 meV per atom
* VASP energy: -88.1 eV per cell
* energy of formation from the pure elements: 0.398 eV per atom
>>>
VASP calculation (PBE) on a relaxed structure of B7C5.

Lattice parameters (Å, degrees): 6.017 6.029 3.830 88.73 91.36 142.17
Element x y z (fractional)
B1 0.123 0.735 0.949
C1 0.142 0.301 0.211
C2 0.991 0.997 0.969
B2 0.470 0.459 0.470
C3 0.481 0.976 0.233
B3 0.358 0.656 0.995
B4 0.855 0.688 0.226
B5 0.782 0.058 0.417
C4 0.310 0.144 0.765
B6 0.621 0.304 0.035
C5 0.666 0.819 0.734
B7 0.201 0.863 0.497

Computed properties:
* energy above the most stable polymorph in this dataset: 234.0 meV per atom
* VASP energy: -88.1 eV per cell
* energy of formation from the pure elements: 0.398 eV per atom